Tribesoft is a mark of Daniele Margutti. This site and the material is protected by the internal laws for copyrights. Other marks are registered by the respective company. (c) copyright 2003. If you want to contact the webmaster click here.


In this section you'll can found any useful info about the new project of Tribesoft. Newswire is a new kind of USENet newsreader for MacOS X. The main goals of the project are to make a fast, complete and easy to use software with the native features and look and feel of MacOS X.

[1]
VASP calculation (GGA-PBE) on an optimized crystal structure of MnGaRh2.

Output
The crystal system is tetragonal.

Cell and atoms, written as CIF:
```
data_MnGaRh2
_chemical_formula_sum 'Mn1 Ga1 Rh2'
_symmetry_space_group_name_H-M 'P 4/m m m'
_symmetry_Int_Tables_number 123
_symmetry_space_group_name_Hall '-P 4 2'
_cell_length_a 3.054
_cell_length_b 3.054
_cell_length_c 6.048
_cell_angle_alpha 90.00
_cell_angle_beta 90.00
_cell_angle_gamma 90.00
loop_
_atom_site_label
_atom_site_type_symbol
_atom_site_fract_x
_atom_site_fract_y
_atom_site_fract_z
Mn1 Mn 0.000 0.000 0.000
Ga1 Ga 0.000 0.000 0.500
Rh1 Rh 0.500 0.500 0.256
```

---

[2]
VASP calculation (GGA-PBE) on an optimized crystal structure of Mn2Ga2S5.

Output
The crystal system is trigonal.

Cell and atoms, written as CIF:
```
data_Mn2Ga2S5
_chemical_formula_sum 'Mn2 Ga2 S5'
_symmetry_space_group_name_H-M 'P -3 m 1'
_symmetry_Int_Tables_number 164
_symmetry_space_group_name_Hall '-P 3 2"'
_cell_length_a 3.7280
_cell_length_b 3.7280
_cell_length_c 15.3335
_cell_angle_alpha 90.00
_cell_angle_beta 90.00
_cell_angle_gamma 120.00
loop_
_atom_site_label
_atom_site_type_symbol
_atom_site_fract_x
_atom_site_fract_y
_atom_site_fract_z
Mn1 Mn 0.3333 0.6667 0.4019
Ga1 Ga 0.3333 0.6667 0.8286
S1 S 0.0000 0.0000 0.5000
S2 S 0.3333 0.6667 0.1059
S3 S 0.3333 0.6667 0.6831
```

---

[3]
VASP calculation (GGA-PBE) on an optimized crystal structure of ScMnGaS4.

Output
The crystal system is orthorhombic.

Cell and atoms, written as CIF:
```
data_ScMnGaS4
_chemical_formula_sum 'Sc4 Mn4 Ga4 S16'
_symmetry_space_group_name_H-M 'P n m a'
_symmetry_Int_Tables_number 62
_cell_length_a 12.865
_cell_length_b 7.420
_cell_length_c 6.116
_cell_angle_alpha 90.00
_cell_angle_beta 90.00
_cell_angle_gamma 90.00
loop_
_symmetry_equiv_pos_as_xyz
'x,y,z'
'-x,-y,-z'
'-x+1/2,-y,z+1/2'
'x+1/2,y,-z+1/2'
'x+1/2,-y+1/2,-z+1/2'
'-x+1/2,y+1/2,z+1/2'
'-x,y+1/2,-z'
'x,-y+1/2,z'
loop_
_atom_site_label
_atom_site_type_symbol
_atom_site_fract_x
_atom_site_fract_y
_atom_site_fract_z
Sc1 Sc 0.233 0.250 0.003
Mn1 Mn 0.000 0.000 0.500
Ga1 Ga 0.088 0.750 0.081
S1 S 0.072 0.250 0.752
S2 S 0.090 0.750 0.713
S3 S 0.168 0.510 0.256
```

---

[4]
VASP calculation (GGA-PBE) on an optimized crystal structure of Sm3MnGaS7.

Output
The crystal system is hexagonal.

Cell and atoms, written as CIF:
```
data_Sm3MnGaS7
_chemical_formula_sum 'Sm6 Mn2 Ga2 S14'
_symmetry_space_group_name_H-M 'P 63'
_symmetry_Int_Tables_number 173
_cell_length_a 9.9746
_cell_length_b 9.9746
_cell_length_c 6.0664
_cell_angle_alpha 90.00
_cell_angle_beta 90.00
_cell_angle_gamma 120.00
loop_
_symmetry_equiv_pos_as_xyz
'x,y,z'
'x-y,x,z+1/2'
'-y,x-y,z'
'-x,-y,z+1/2'
'-x+y,-x,z'
'y,-x+y,z+1/2'
loop_
_atom_site_label
_atom_site_type_symbol
_atom_site_fract_x
_atom_site_fract_y
_atom_site_fract_z
Sm1 Sm 0.1410 0.3752 0.0000
Mn1 Mn 0.0000 0.0000 0.2774
Ga1 Ga 0.3333 0.6667 0.4234
S1 S 0.0937 0.2414 0.5511
S2 S 0.0948 0.5797 0.2643
S3 S 0.3333 0.6667 0.7946
```

---

[5]
Here the article continues =

Actually there is not any available downloads. I'm searching for three beta tester. If you want to contribuite to Newswire develop you can subscribe here.

Project Status

Yes finally the Newswire 0.x was published. This is the first step on the long way to 1.0 version. I have completed the the Messages Core Engine (this lib allow the program to show/edit the downloaded/edited messages) and a 90% of Networking Library. This means that a first "beta tester" release could be published around 15/20th October of this year (2003).

Hovewer I can't confirm this date. The last date was Sept 29,2003 but i have cancelled it. Why? Because I want to make an optimized code. An example: the first internal build (0.001) published two weeks ago takes about 1.9 second to read/thread about 2400 messages. The new release takes only 400mseconds to thread the group and about 100 to render a simply messages list.

Support (Languages/System Versions)

Newswire will be available in English and Italian. I don't know other languages. If you want a localized version of Newswire please contact me. I'll sent the english strings to translate.Naturally you will receive a free copy of Newswire.

I have created this software under Mac OS X "Juguar" (v.10.2.6). The minimum software requirements are: OS X 10.2 or later (Panther will be supported soon), about 10Mb of RAM, a G3/G4/G5 processor and about 1Mb of free space :-)

MacOS X 10.1 could be supported but only if I will receive enough users request. So if you are a Puma (10.1) user and you will want to use Newswire with your system send a mail to me.

How about the price?

Until the 1.0 release Newswire will be remain a "freeware" software. This mean that you can use it without spend money. When the final release will be published this program will implement a Licenses Framework that require your registration code to work in full mode. At this time I have not any idea about the differences between the "demo" release and the "registered" release.

The program will be not donationware as like SafariXtra. But if you have registered SX after July 2003 you will save 3$. The total Newswire cost will be 10$.

### Inserted here: records of crystals
WN2 | GGA-PBE | optimized geometry

```
data_WN2
_cell_length_a 5.8686
_cell_length_b 5.8686
_cell_length_c 6.4636
_cell_angle_alpha 90.00
_cell_angle_beta 90.00
_cell_angle_gamma 120.00
_symmetry_space_group_name_H-M 'P 31 2 1'
_symmetry_Int_Tables_number 152
_symmetry_space_group_name_Hall 'P 31 2"'
loop_
_atom_site_label
_atom_site_type_symbol
_atom_site_fract_x
_atom_site_fract_y

Can I subscribe to the beta testing program?

Oh Yes. I need of other three beta testers. If you want to contribuite to Newswire develop you can subscribe here. You will receive each btesters release until the 1.0. When the final version will be published you will can register it for free.

Discussion board

To prevent a lot of mails in my pop account I have created a forum where you can publish your comments, suggestions or bug reports about this software. Naturally at this moment the forum could be empty. There is not any available version. But if you want to see a particular feature you can write it to the forum. I'll try to add it in my "to do" list if it will be interesting.


Sept 24
After one month of hard development work I have proud to announce the first internal release. This build, numbered 0.01 (A00), will be not released to the beta tester users. Hovewer I have finally started the 0.x branch, a long way to 1.0 public version. I hope to public the 1.0 version at the end of Febr. 2004.

Sept 23
I have posted three different screenshots of Newswire 0.01: the Main Window, the Groups Drawer, the Post Composer.












There is not any download available at this time. The first alpha (for beta testers only) will be released around the 15th of October 2003.

1.
6
Lattice="4.194 0.000 0.000 -2.097 3.632 0.000 0.000 0.000 9.807" Properties=species:S:1:pos:R:3 comment="KCuSe (PBE-GGA, relaxed)" sg="No. 194" formation_enthalpy_0k_ev_per_atom=-0.838 energy_mp2020_ev_per_atom=-3.739 final_energy_ev_per_cell=-21.49 pbc="T T T"
K 0.000 0.000 0.000
K 0.000 0.000 4.904
Cu 0.000 2.421 2.452
Cu 2.097 1.211 7.355
Se 0.000 2.421 7.355
Se 2.097 1.211 2.452

2.
32
Lattice="12.338 -2.869 0.000 12.338 2.869 0.000 -7.647 0.000 13.092" Properties=species:S:1:pos:R:3 comment="K3Ta2Cu3Se8 (PBE-GGA, relaxed)" sg="No. 15" formation_enthalpy_0k_ev_per_atom=-1.083 energy_mp2020_ev_per_atom=-5.290 final_energy_ev_per_cell=-161.74 pbc="T T T"
K 0.000 0.000 0.000
K -3.824 0.000 6.546
K 0.687 0.222 11.855
K 4.510 -0.222 5.309
K 12.518 0.222 7.783
K 16.342 -0.222 1.237
Ta 7.575 1.249 2.889
Ta 13.277 1.249 3.657
Ta 3.751 -1.249 9.435
Ta 9.454 -1.249 10.204
Cu 3.806 1.618 9.415
Cu 10.426 1.278 3.273
Cu 9.399 1.618 10.223
Cu 7.630 -1.618 2.869
Cu 6.602 -1.278 9.819
Cu 13.222 -1.618 3.677
Se -4.471 0.249 11.467
Se -1.354 0.174 8.984
Se -0.648 -0.249 4.921
Se 2.470 -0.174 2.438
Se 2.479 0.171 7.951
Se 6.303 -0.171 1.405
Se 4.984 0.135 11.031
Se 8.808 -0.135 4.485
Se 8.220 0.135 8.607
Se 12.044 -0.135 2.061
Se 10.726 0.171 11.687
Se 14.549 -0.171 5.141
Se 14.559 0.174 10.654
Se 17.676 0.249 8.171
Se 18.382 -0.174 4.108
Se 21.500 -0.249 1.625

3.
16
Lattice="7.815 0.000 0.000 0.000 9.634 2.863 0.000 -9.634 2.863" Properties=species:S:1:pos:R:3 comment="KTaCu2Se4 (PBE-GGA, relaxed)" sg="No. 40" formation_enthalpy_0k_ev_per_atom=-0.972 energy_mp2020_ev_per_atom=-5.366 final_energy_ev_per_cell=-82.08 e_ij_max_c_m2=1.8 pbc="T T T"
K 1.954 -6.087 2.863
K 5.861 6.087 2.863
Ta 1.954 -2.087 1.356
Ta 5.861 2.087 1.356
Cu 0.000 0.000 1.447
Cu 1.954 -2.056 4.217
Cu 3.908 0.000 1.447
Cu 5.861 2.056 4.217
Se 0.037 2.065 2.771
Se 1.954 5.586 2.798
Se 1.954 -0.059 5.670
Se 3.871 2.065 2.771
Se 3.944 -2.065 2.771
Se 5.861 -5.586 2.798
Se 5.861 0.059 5.670
Se 7.779 -2.065 2.771

4.
16
Lattice="5.774 0.000 0.000 2.887 6.910 0.000 2.887 0.000 12.218" Properties=species:S:1:pos:R:3 comment="K2TaCuSe4 (PBE-GGA, relaxed)" sg="No. 1" formation_enthalpy_0k_ev_per_atom=-1.176 energy_mp2020_ev_per_atom=-5.196 final_energy_ev_per_cell=-79.37 pbc="T T T"
K 0.000 0.000 0.000
K 4.280 3.468 9.585
K 5.746 6.880 3.435
K 7.147 3.427 6.089
Ta 5.717 6.877 7.813
Ta 7.181 3.506 1.675
Cu 4.332 3.484 1.704
Cu 8.572 6.898 7.817
Se 2.786 4.833 3.099
Se 4.368 5.532 6.421
Se 2.824 2.063 0.364
Se 4.270 1.405 6.466
Se 7.170 5.490 9.185
Se 5.800 4.876 0.284
Se 5.771 2.013 3.112
Se 7.223 1.390 9.238

5.
16
Lattice="0.000 6.910 12.218 2.887 0.000 12.218 2.887 6.910 0.000" Properties=species:S:1:pos:R:3 comment="K2TaCuSe4 (PBE-GGA, relaxed)" sg="No. 70" formation_enthalpy_0k_ev_per_atom=-1.189 energy_mp2020_ev_per_atom=-5.209 final_energy_ev_per_cell=-79.57 pbc="T T T"
K 2.165 5.182 1.336
K 3.608 8.637 7.445
K 2.165 5.182 16.990
K 3.608 8.637 23.099
Ta 0.722 1.727 3.054

A public release will be published at the end of October.








This is the un-official roadmap for Newswire: the first beta tester release will be published around the 15th of October.

Two weeks later (at the end of October) a second beta tester release was released. This second version will contains all the patchs/suggestions from the beta tester first approach.

The first week of November will be appear the first public release of Newswire:
0.1 and, one month later (Dec 2003) two new public releases will be release for public testing purpose. At the end of the year will be available the 0.2 release.